_What to do_
Print the whole of the data further down unchanged, please.

_Given_
********
This record from Materials Project describes Ba3InB3O9 after structural relaxation. The functional is PBE.

a b c (Å): 12.9590 12.9590 9.4913
angles (deg): 90.00 90.00 120.00
Space group R-3 (No. 148, hexagonal axes)
Symmetry-distinct sites (fractional):
Ba: 0.0385 0.5681 0.3054 [18 per cell]
In: 0.0000 0.0000 0.0000 [3 per cell]
In: 0.0000 0.0000 0.5000 [3 per cell]
B: 0.0565 0.8705 0.2355 [18 per cell]
O: 0.0134 0.7559 0.1859 [18 per cell]
O: 0.0307 0.1480 0.1463 [18 per cell]
O: 0.0510 0.8883 0.3805 [18 per cell]

Values from the calculation:
Energy of formation from the pure elements, eV/atom: -2.972
V, Å³ per cell: 1380.4
Corrected total energy (MP2020 scheme), eV/atom: -7.540
Crystal system: trigonal

=====

This record from Materials Project describes Sm3B2O6F3 after structural relaxation. The functional is PBE.

a b c (Å): 12.9418 6.2931 8.3938
angles (deg): 90.00 96.95 90.00
Space group C2/c (No. 15)
Symmetry-distinct sites (fractional):
Sm: 0.0000 0.1010 0.2500 [4 per cell]
Sm: 0.1782 0.3918 0.6794 [8 per cell]
B: 0.1809 0.0915 0.0219 [8 per cell]
O: 0.1497 0.0989 0.8583 [8 per cell]
O: 0.1506 0.2301 0.1345 [8 per cell]
O: 0.2402 0.4449 0.4253 [8 per cell]
F: 0.0000 0.4760 0.2500 [4 per cell]
F: 0.0516 0.1780 0.5430 [8 per cell]

Values from the calculation:
Total magnetization, Bohr magnetons per cell: 0.00
Energy of formation from the pure elements, eV/atom: -3.754
V, Å³ per cell: 678.6
Corrected total energy (MP2020 scheme), eV/atom: -8.251
Crystal system: monoclinic

=====

This record from Materials Project describes CsTe7Mo6 after structural relaxation. The functional is PBE.

a b c (Å): 10.5153 10.5153 25.6214
angles (deg): 90.00 90.00 120.00
Space group R-3 (No. 148, hexagonal axes)
Symmetry-distinct sites (fractional):
Cs: 0.0000 0.0000 0.1200 [6 per cell]
Te: 0.0000 0.0000 0.2755 [6 per cell]
Te: 0.0066 0.3729 0.2974 [18 per cell]
Te: 0.0127 0.3742 0.1194 [18 per cell]
Mo: 0.0118 0.1536 0.5444 [18 per cell]
Mo: 0.0170 0.1533 0.3642 [18 per cell]

Values from the calculation:
Energy of formation from the pure elements, eV/atom: -0.391
V, Å³ per cell: 2453.4
Crystal system: trigonal


Here is S after structural relaxation from the Materials Project. Energies are from PBE.

Cell and atoms, written as POSCAR:
```
S
1.0
-0.946 -3.570 14.251
2.809 5.177 12.863
-8.491 2.361 3.856
S
32
Direct
0.574 0.673 0.227 S
0.129 0.959 0.263 S
0.423 0.330 0.768 S
0.276 0.375 0.705 S
0.157 0.254 0.962 S
0.029 0.229 0.671 S
0.851 0.738 0.042 S
0.971 0.771 0.328 S
0.746 0.843 0.867 S
0.040 0.872 0.850 S
0.670 0.576 0.026 S
0.146 0.699 0.379 S
0.868 0.044 0.747 S
0.793 0.696 0.763 S
0.772 0.975 0.427 S
0.326 0.426 0.980 S
0.302 0.209 0.753 S
0.247 0.763 0.697 S
0.692 0.798 0.240 S
0.731 0.617 0.294 S
0.955 0.134 0.153 S
0.230 0.756 0.204 S
0.623 0.721 0.861 S
0.209 0.302 0.236 S
0.294 0.857 0.726 S
0.863 0.295 0.617 S
0.769 0.239 0.795 S
0.231 0.021 0.574 S
0.378 0.272 0.145 S
0.706 0.137 0.274 S
0.261 0.148 0.131 S
0.752 0.233 0.306 S
```

Values from the calculation:
- Total magnetic moment: 0.0 μB/cell
- ΔE to the lowest computed polymorph: 0.021 eV per atom
- Space group: P1 (1)
- Mass density: 1.47 g/cm³
- Formation energy: 0.021 eV per formula unit

***

Here is S after structural relaxation from the Materials Project. Energies are from PBE.

Cell and atoms, written as POSCAR:
```
S
1.0
7.240 -12.540 0.000
7.240 12.540 0.000
0.000 0.000 4.926
S
18
Direct
0.742 0.173 0.441 S
0.536 0.481 0.074 S
0.431 0.258 0.441 S
0.621 0.742 0.337 S
0.191 0.726 0.325 S
0.451 0.798 0.643 S
0.827 0.569 0.441 S
0.650 0.062 0.194 S
0.274 0.465 0.325 S
0.945 0.464 0.074 S
0.535 0.809 0.325 S
0.258 0.879 0.337 S
0.938 0.588 0.194 S
0.347 0.549 0.643 S
0.121 0.379 0.337 S
0.202 0.653 0.643 S
0.412 0.350 0.194 S
0.519 0.055 0.074 S
```

Values from the calculation:
- Total magnetic moment: 0.0 μB/cell
- ΔE to the lowest computed polymorph: 0.357 eV per atom
- Space group: P3 (143)
- Mass density: 1.07 g/cm³
********

_Solution_
This record from Materials Project describes Ba3InB3O9 after structural relaxation. The functional is PBE.

a b c (Å): 12.9590 12.9590 9.4913
angles (deg): 90.00 90.00 120.00
Space group R-3 (No. 148, hexagonal axes)
Symmetry-distinct sites (fractional):
Ba: 0.0385 0.5681 0.3054 [18 per cell]
In: 0.0000 0.0000 0.0000 [3 per cell]
In: 0.0000 0.0000 0.5000 [3 per cell]
B: 0.0565 0.8705 0.2355 [18 per cell]
O: 0.0134 0.7559 0.1859 [18 per cell]
O: 0.0307 0.1480 0.1463 [18 per cell]
O: 0.0510 0.8883 0.3805 [18 per cell]

Values from the calculation:
Energy of formation from the pure elements, eV/atom: -2.972
V, Å³ per cell: 1380.4
Corrected total energy (MP2020 scheme), eV/atom: -7.540
Crystal system: trigonal

=====

This record from Materials Project describes Sm3B2O6F3 after structural relaxation. The functional is PBE.

a b c (Å): 12.9418 6.2931 8.3938
angles (deg): 90.00 96.95 90.00
Space group C2/c (No. 15)
Symmetry-distinct sites (fractional):
Sm: 0.0000 0.1010 0.2500 [4 per cell]
Sm: 0.1782 0.3918 0.6794 [8 per cell]
B: 0.1809 0.0915 0.0219 [8 per cell]
O: 0.1497 0.0989 0.8583 [8 per cell]
O: 0.1506 0.2301 0.1345 [8 per cell]
O: 0.2402 0.4449 0.4253 [8 per cell]
F: 0.0000 0.4760 0.2500 [4 per cell]
F: 0.0516 0.1780 0.5430 [8 per cell]

Values from the calculation:
Total magnetization, Bohr magnetons per cell: 0.00
Energy of formation from the pure elements, eV/atom: -3.754
V, Å³ per cell: 678.6
Corrected total energy (MP2020 scheme), eV/atom: -8.251
Crystal system: monoclinic

=====

This record from Materials Project describes CsTe7Mo6 after structural relaxation. The functional is PBE.

a b c (Å): 10.5153 10.5153 25.6214
angles (deg): 90.00 90.00 120.00
Space group R-3 (No. 148, hexagonal axes)
Symmetry-distinct sites (fractional):
Cs: 0.0000 0.0000 0.1200 [6 per cell]
Te: 0.0000 0.0000 0.2755 [6 per cell]
Te: 0.0066 0.3729 0.2974 [18 per cell]
Te: 0.0127 0.3742 0.1194 [18 per cell]
Mo: 0.0118 0.1536 0.5444 [18 per cell]
Mo: 0.0170 0.1533 0.3642 [18 per cell]

Values from the calculation:
Energy of formation from the pure elements, eV/atom: -0.391
V, Å³ per cell: 2453.4
Crystal system: trigonal


Here is S after structural relaxation from the Materials Project. Energies are from PBE.

Cell and atoms, written as POSCAR:
```
S
1.0
-0.946 -3.570 14.251
2.809 5.177 12.863
-8.491 2.361 3.856
S
32
Direct
0.574 0.673 0.227 S
0.129 0.959 0.263 S
0.423 0.330 0.768 S
0.276 0.375 0.705 S
0.157 0.254 0.962 S
0.029 0.229 0.671 S
0.851 0.738 0.042 S
0.971 0.771 0.328 S
0.746 0.843 0.867 S
0.040 0.872 0.850 S
0.670 0.576 0.026 S
0.146 0.699 0.379 S
0.868 0.044 0.747 S
0.793 0.696 0.763 S
0.772 0.975 0.427 S
0.326 0.426 0.980 S
0.302 0.209 0.753 S
0.247 0.763 0.697 S
0.692 0.798 0.240 S
0.731 0.617 0.294 S
0.955 0.134 0.153 S
0.230 0.756 0.204 S
0.623 0.721 0.861 S
0.209 0.302 0.236 S
0.294 0.857 0.726 S
0.863 0.295 0.617 S
0.769 0.239 0.795 S
0.231 0.021 0.574 S
0.378 0.272 0.145 S
0.706 0.137 0.274 S
0.261 0.148 0.131 S
0.752 0.233 0.306 S
```

Values from the calculation:
- Total magnetic moment: 0.0 μB/cell
- ΔE to the lowest computed polymorph: 0.021 eV per atom
- Space group: P1 (1)
- Mass density: 1.47 g/cm³
- Formation energy: 0.021 eV per formula unit

***

Here is S after structural relaxation from the Materials Project. Energies are from PBE.

Cell and atoms, written as POSCAR:
```
S
1.0
7.240 -12.540 0.000
7.240 12.540 0.000
0.000 0.000 4.926
S
18
Direct
0.742 0.173 0.441 S
0.536 0.481 0.074 S
0.431 0.258 0.441 S
0.621 0.742 0.337 S
0.191 0.726 0.325 S
0.451 0.798 0.643 S
0.827 0.569 0.441 S
0.650 0.062 0.194 S
0.274 0.465 0.325 S
0.945 0.464 0.074 S
0.535 0.809 0.325 S
0.258 0.879 0.337 S
0.938 0.588 0.194 S
0.347 0.549 0.643 S
0.121 0.379 0.337 S
0.202 0.653 0.643 S
0.412 0.350 0.194 S
0.519 0.055 0.074 S
```

Values from the calculation:
- Total magnetic moment: 0.0 μB/cell
- ΔE to the lowest computed polymorph: 0.357 eV per atom
- Space group: P3 (143)
- Mass density: 1.07 g/cm³